-- Data --
........
Yb3Cu (PBE, optimized geometry); calculated volume = 112 Å³/cell; E_form = -0.008 eV/atom
1.0
4.814 0.000 0.000
0.000 4.814 0.000
0.000 0.000 4.814
Yb Cu
3 1
Direct
0.000 0.000 0.500 Yb
0.000 0.500 0.000 Yb
0.500 0.000 0.000 Yb
0.500 0.500 0.500 Cu


BaLaRe (PBE, optimized geometry); relative energy among the computed polymorphs = 0 meV per atom; calculated volume = 97 Å³/cell; E_form = 0.631 eV/atom
1.0
0.000 2.575 7.377
2.548 0.000 7.377
2.548 2.575 0.000
Ba La Re
1 1 1
Direct
0.000 0.000 0.000 Ba
0.752 0.752 0.248 La
0.357 0.357 0.643 Re


PmPaTcPd (PBE, optimized geometry); calculated volume = 86 Å³/cell; E_form = -0.238 eV/atom
1.0
0.000 3.502 3.502
3.502 0.000 3.502
3.502 3.502 0.000
Pm Pa Tc Pd
1 1 1 1
Direct
0.000 0.000 0.000 Pm
0.500 0.500 0.500 Pa
0.250 0.250 0.250 Tc
0.750 0.750 0.750 Pd


CrFe6Ge (PBE, optimized geometry); calculated volume = 95 Å³/cell; E_form = 0.004 eV/atom
1.0
4.570 0.000 0.000
0.000 4.570 0.000
0.000 0.000 4.570
Cr Fe Ge
1 6 1
Direct
0.000 0.000 0.000 Cr
0.000 0.249 0.500 Fe
0.000 0.751 0.500 Fe
0.249 0.500 0.000 Fe
0.500 0.000 0.249 Fe
0.500 0.000 0.751 Fe
0.751 0.500 0.000 Fe
0.500 0.500 0.500 Ge


CaMgFe2 (PBE, optimized geometry); calculated volume = 77 Å³/cell; E_form = 0.220 eV/atom
1.0
3.188 0.000 0.000
0.000 3.223 0.000
0.000 0.000 7.502
Ca Mg Fe
1 1 2
Direct
0.000 0.000 0.000 Ca
0.500 0.500 0.360 Mg
0.000 0.000 0.596 Fe
0.500 0.500 0.720 Fe


Ca2Cu (PBE, optimized geometry); calculated volume = 98 Å³/cell; E_form = 0.025 eV/atom
1.0
4.137 0.000 0.000
-2.069 3.583 0.000
0.000 0.000 6.587
Ca Cu
2 1
Direct
0.333 0.667 0.249 Ca
0.667 0.333 0.751 Ca
0.000 0.000 0.500 Cu


KNiBr4 (PBE, optimized geometry); formation energy from raw total energies = -0.70 eV/atom; relative energy among the computed polymorphs = 19 meV per atom; calculated volume = 879 Å³/cell
1.0
8.806 0.000 0.000
0.000 10.336 0.000
-6.813 0.000 9.662
K Ni Br
4 4 16
Direct
0.173 0.172 0.271 K
0.173 0.328 0.771 K
0.827 0.672 0.229 K
0.827 0.828 0.729 K
0.312 0.675 0.205 Ni
0.312 0.825 0.705 Ni
0.688 0.175 0.295 Ni
0.688 0.325 0.795 Ni
0.103 0.652 0.621 Br
0.103 0.848 0.121 Br
0.208 0.517 0.284 Br
0.208 0.983 0.784 Br
0.331 0.607 0.027 Br
0.331 0.893 0.527 Br
0.391 0.238 0.117 Br
0.391 0.262 0.617 Br
0.609 0.738 0.383 Br
0.609 0.762 0.883 Br
0.669 0.107 0.473 Br
0.669 0.393 0.973 Br
........

-- Activity --
Now restate the whole of the data above exactly.

-- Completed --
Yb3Cu (PBE, optimized geometry); calculated volume = 112 Å³/cell; E_form = -0.008 eV/atom
1.0
4.814 0.000 0.000
0.000 4.814 0.000
0.000 0.000 4.814
Yb Cu
3 1
Direct
0.000 0.000 0.500 Yb
0.000 0.500 0.000 Yb
0.500 0.000 0.000 Yb
0.500 0.500 0.500 Cu


BaLaRe (PBE, optimized geometry); relative energy among the computed polymorphs = 0 meV per atom; calculated volume = 97 Å³/cell; E_form = 0.631 eV/atom
1.0
0.000 2.575 7.377
2.548 0.000 7.377
2.548 2.575 0.000
Ba La Re
1 1 1
Direct
0.000 0.000 0.000 Ba
0.752 0.752 0.248 La
0.357 0.357 0.643 Re


PmPaTcPd (PBE, optimized geometry); calculated volume = 86 Å³/cell; E_form = -0.238 eV/atom
1.0
0.000 3.502 3.502
3.502 0.000 3.502
3.502 3.502 0.000
Pm Pa Tc Pd
1 1 1 1
Direct
0.000 0.000 0.000 Pm
0.500 0.500 0.500 Pa
0.250 0.250 0.250 Tc
0.750 0.750 0.750 Pd


CrFe6Ge (PBE, optimized geometry); calculated volume = 95 Å³/cell; E_form = 0.004 eV/atom
1.0
4.570 0.000 0.000
0.000 4.570 0.000
0.000 0.000 4.570
Cr Fe Ge
1 6 1
Direct
0.000 0.000 0.000 Cr
0.000 0.249 0.500 Fe
0.000 0.751 0.500 Fe
0.249 0.500 0.000 Fe
0.500 0.000 0.249 Fe
0.500 0.000 0.751 Fe
0.751 0.500 0.000 Fe
0.500 0.500 0.500 Ge


CaMgFe2 (PBE, optimized geometry); calculated volume = 77 Å³/cell; E_form = 0.220 eV/atom
1.0
3.188 0.000 0.000
0.000 3.223 0.000
0.000 0.000 7.502
Ca Mg Fe
1 1 2
Direct
0.000 0.000 0.000 Ca
0.500 0.500 0.360 Mg
0.000 0.000 0.596 Fe
0.500 0.500 0.720 Fe


Ca2Cu (PBE, optimized geometry); calculated volume = 98 Å³/cell; E_form = 0.025 eV/atom
1.0
4.137 0.000 0.000
-2.069 3.583 0.000
0.000 0.000 6.587
Ca Cu
2 1
Direct
0.333 0.667 0.249 Ca
0.667 0.333 0.751 Ca
0.000 0.000 0.500 Cu


KNiBr4 (PBE, optimized geometry); formation energy from raw total energies = -0.70 eV/atom; relative energy among the computed polymorphs = 19 meV per atom; calculated volume = 879 Å³/cell
1.0
8.806 0.000 0.000
0.000 10.336 0.000
-6.813 0.000 9.662
K Ni Br
4 4 16
Direct
0.173 0.172 0.271 K
0.173 0.328 0.771 K
0.827 0.672 0.229 K
0.827 0.828 0.729 K
0.312 0.675 0.205 Ni
0.312 0.825 0.705 Ni
0.688 0.175 0.295 Ni
0.688 0.325 0.795 Ni
0.103 0.652 0.621 Br
0.103 0.848 0.121 Br
0.208 0.517 0.284 Br
0.208 0.983 0.784 Br
0.331 0.607 0.027 Br
0.331 0.893 0.527 Br
0.391 0.238 0.117 Br
0.391 0.262 0.617 Br
0.609 0.738 0.383 Br
0.609 0.762 0.883 Br
0.669 0.107 0.473 Br
0.669 0.393 0.973 Br